Without a doubt and full of confidence and history, YES.
Like with most things in life, It's all in the Details.
Your home is wrapped with a moisture barrier, this is the "paper" that goes on over the wood the siding then goes over the top of the "paper". The reason for this is to protect moisture from getting to the wood surface. The moisture can be liquid, solid or vapor such as condensation. When there is a moisture build up then there needs to be a way to remove it, here you see the membrane goes up the wall a minimum of 6 inches (building code) then the moisture barrier will over lap it from above allowing water to be moved away from the home.
We have some of the harshest climate changes in the country and to find a product that will withstand not just the rain but the snow and ice build up would be like a slice of pumpkin pie on Thanksgiving. Would you like whipped cream with your pie?
The Duradek membrane has been around for over 37 years now and has it's roots based in British Columbia. Salt Lake City is very similar in elevation and climate, the big difference is precipitation. Where we get about 16.5 inches a year, Vancouver BC averages 43.98.
So, if you truly want to have a relaxing, long lasting and low maintenance deck you have found the right product. From a beautiful vinyl surface, available in more than twenty designs/ colors to the extravagant look of tile or stone; We have you covered.
Want to learn more? OK lets walk through the two membranes briefly and illustrate what is so different and what gives it the decades of use.
Duradek - A fairly simple single ply installation over plywood, not OSB. The difference is simple, OSB will delaminate with a whiff of moisture in the air. Plywood is much more durable and since the membrane is being fully adhered to the substrate lets do it right the first time. Think of it as a solid surface, outdoor flooring application. You can have a deck with the clock ticking away until you repair it or you can have a usable outdoor living space that compliments your home.
Someone pasted crystal structures at this point:
Below is a relaxed MnCr3Bi crystal, with properties calculated at the PBE-GGA level.

symmetry: No. 221
energy relative to the elements: 0.89 eV per atom
crystal system: cubic

Unit cell a=4.5369 b=4.5369 c=4.5369 alpha=90.00 beta=90.00 gamma=90.00
Fractional coordinates of all 5 atoms:
1 Mn 0.0000 0.0000 0.0000
2 Cr 0.0000 0.0000 0.5000
3 Cr 0.0000 0.5000 0.0000
4 Cr 0.5000 0.0000 0.0000
5 Bi 0.5000 0.5000 0.5000

Below is a relaxed YBiSe2F crystal, with properties calculated at the PBE-GGA level.

ΔE to the lowest computed polymorph: 0.00 eV per formula unit
symmetry: No. 123
crystal system: tetragonal

Unit cell a=5.6188 b=5.6188 c=4.3709 alpha=90.00 beta=90.00 gamma=90.00
Fractional coordinates of all 5 atoms:
1 Y 0.0000 0.0000 0.0000
2 Bi 0.5000 0.5000 0.5000
3 Se 0.0000 0.5000 0.5000
4 Se 0.5000 0.0000 0.5000
5 F 0.5000 0.5000 0.0000

Below is a relaxed AcTbPm2 crystal, with properties calculated at the PBE-GGA level.

ΔE to the lowest computed polymorph: 0.00 eV per formula unit
symmetry: No. 123
energy relative to the elements: 0.04 eV per atom
crystal system: tetragonal

Unit cell a=5.2261 b=5.2261 c=5.2768 alpha=90.00 beta=90.00 gamma=90.00
Fractional coordinates of all 4 atoms:
1 Ac 0.0000 0.0000 0.0000
2 Tb 0.5000 0.5000 0.0000
3 Pm 0.0000 0.5000 0.5000
4 Pm 0.5000 0.0000 0.5000

Calculated raw total energy (Ha/atom), listed in the same order as above: -0.2753; -0.1752; -0.1663
Calculated calculated volume (Å³ per cell), listed in the same order as above: 93; 138; 144

=====

## ScCd2O (PBE)

Data for a relaxed ScCd2O crystal.

ΔE_f (raw), eV per atom: -0.841

Geometry as POSCAR:
```
ScCd2O
1.0
-8.4772 -4.5040 -0.9349
3.1428 -7.1021 5.7189
-3.3534 -4.8385 3.9670
Sc Cd O
2 4 2
Direct
0.0000 0.0000 0.0000
0.7500 0.2500 0.5000
0.3750 0.4850 0.7500
0.2350 0.6250 0.2500
0.8750 0.7650 0.7500
0.5150 0.1250 0.2500
0.5000 0.5000 0.0000
0.2500 0.7500 0.5000
```

---

## CaFeMo2 (PBE)

Data for a relaxed CaFeMo2 crystal.

Offset from the most stable computed form, meV/atom: 232
Energy relative to the elements, eV per atom: 0.751

Geometry as POSCAR:
```
CaFeMo2
1.0
-9.0670 -2.0561 2.4094
-7.7106 -3.7050 4.3662
-8.1982 -0.9045 4.9208
Fe Ca Mo
1 1 2
Direct
0.7500 0.7500 0.7500
0.2500 0.2500 0.2500
0.4871 0.4871 0.4871
0.0129 0.0129 0.0129
```

---

V (A^3/atom)
22.9; 17.2
Like with most things in life, It's all in the Details.
The strength of the membrane is not just the fact that it already has all of the UV inhibitors, plasticizers, mold and mildew inhibitors to assist its long life. It is only installed by company trained professionals. When you are looking for a waterproof product and expect to get decades of use out of it stay away from the handyman services and the DYI products. The issue isn't the product. It is not to difficult to glue down; it's having the knowledge and the skills to handle the details correctly.
Water finds it's way in to the most difficult places with ease when the installer lacks experience. Eliminating risk by using the correct detail installation is the name of the game. Here you can see the membrane is being wrapped over the edge of the deck surface. There is a drip edge under it in this picture and the membrane will be glued to the drip edge and finished of with a vinyl clip that compliments the color of the deck membrane. If the membrane was just stopped at the edge of the surface like a coating would be then the water will likely find it's way into the fascia or substrate and the clock starts ticking.
Your home is wrapped with a moisture barrier, this is the "paper" that goes on over the wood the siding then goes over the top of the "paper". The reason for this is to protect moisture from getting to the wood surface. The moisture can be liquid, solid or vapor such as condensation. When there is a moisture build up then there needs to be a way to remove it, here you see the membrane goes up the wall a minimum of 6 inches (building code) then the moisture barrier will over lap it from above allowing water to be moved away from the home.
A similar detail is the outside corner, still goes up the wall and protects not just the surface but the entire area. Anyone that has experience in deck repair will tell you the risk isn't in the field, it is how the details are done. I have often wondered how you can use a liquid material like a coating to go up a wall?
Tired of playing games and spending money on your deck year after year? This is a product that is done once and will last for decades even in the snow and ice we experience. I like to BBQ year round but in the winter it can be frustrating and a mess. With the Duradek membrane you simply shovel off the snow or if you prefer use Ice Melt or Rock Salt to get rid of it. Isn't it time you used your deck for what it is intended for? With Duradek you can sit back relax and enjoy yourself knowing we've got you covered.